## Listing
Below is crystalline Nd3Dy3Tm5 at its relaxed geometry, with properties calculated at the PBE level.

The structure in CIF format:
```
data_Nd3Dy3Tm5
_cell_length_a 9.6068
_cell_length_b 9.6068
_cell_length_c 5.4511
_cell_angle_alpha 90.00
_cell_angle_beta 90.00
_cell_angle_gamma 120.00
_symmetry_space_group_name_H-M 'P -6 2 m'
_symmetry_Int_Tables_number 189
_symmetry_space_group_name_Hall 'P -6 -2'
loop_
_atom_site_label
_atom_site_fract_x
_atom_site_fract_y
_atom_site_fract_z
_atom_site_occupancy
Nd1 0.0000 0.6325 0.0000 1
Dy1 0.0000 0.4503 0.5000 1
Tm1 0.0000 0.2663 0.0000 1
Tm2 0.3333 0.6667 0.0000 1
```

Properties
density of states at the Fermi level = 1.50 states/eV per atom
size of the total moment = 0.00 μB per formula unit
formation energy from the elements = 817.3 meV/atom

=====

A plane-wave DFT calculation with GGA-PBE was carried out for a relaxed PrTc2N5 crystal.

abc: 3.886 3.886 8.091
angles: 103.90 103.90 90.00
Sites, in units of the cell vectors:
Pr1 0.500 0.500 0.000
Tc1 0.122 0.122 0.244
Tc2 0.878 0.878 0.756
N1 0.632 0.132 0.263
N2 0.132 0.632 0.263
N3 0.868 0.368 0.737
N4 0.368 0.868 0.737
N5 0.000 0.000 0.000

ΔE_f (raw): 0.079 eV/atom
magnetization: 0.0 μB/cell
crystal system: tetragonal
volume: 14.4 A^3/atom
total energy: -8.314 eV per atom
SG: No. 139

***

A plane-wave DFT calculation with GGA-PBE was carried out for a relaxed PrTcN3 crystal.

abc: 6.328 7.465 7.465
angles: 85.28 75.37 75.37
Sites, in units of the cell vectors:
Pr1 0.750 0.314 0.686
Pr2 0.250 0.093 0.907
Pr3 0.750 0.907 0.093
Pr4 0.250 0.686 0.314
Tc1 0.739 0.378 0.202
Tc2 0.239 0.202 0.378
Tc3 0.761 0.798 0.622
Tc4 0.261 0.622 0.798
N1 0.463 0.339 0.352
N2 0.662 0.999 0.770
N3 0.963 0.352 0.339
N4 0.037 0.648 0.661
N5 0.849 0.861 0.383
N6 0.162 0.770 0.999
N7 0.537 0.661 0.648
N8 0.838 0.230 0.001
N9 0.338 0.001 0.230
N10 0.349 0.383 0.861
N11 0.151 0.139 0.617
N12 0.651 0.617 0.139

ΔE_f (raw): -0.516 eV/atom
magnetization: 0.0 μB/cell
crystal system: monoclinic
volume: 16.5 A^3/atom
total energy: -8.540 eV per atom
SG: No. 15

***

A plane-wave DFT calculation with GGA-PBE was carried out for a relaxed PrTcN3 crystal.

abc: 5.028 7.661 7.661
angles: 92.74 92.32 92.32
Sites, in units of the cell vectors:
Pr1 0.849 0.612 0.829
Pr2 0.651 0.171 0.388
Pr3 0.151 0.388 0.171
Pr4 0.349 0.829 0.612
Tc1 0.250 0.951 0.049
Tc2 0.750 0.049 0.951
Tc3 0.250 0.301 0.699
Tc4 0.750 0.699 0.301
N1 0.563 0.827 0.933
N2 0.937 0.067 0.173
N3 0.437 0.173 0.067
N4 0.063 0.933 0.827
N5 0.980 0.296 0.860
N6 0.520 0.140 0.704
N7 0.020 0.704 0.140
N8 0.480 0.860 0.296
N9 0.376 0.526 0.729
N10 0.124 0.271 0.474
N11 0.624 0.474 0.271
N12 0.876 0.729 0.526

ΔE_f (raw): -0.403 eV/atom
magnetization: 0.0 μB/cell
crystal system: monoclinic
volume: 14.7 A^3/atom
total energy: -8.428 eV per atom
SG: No. 15

***

A plane-wave DFT calculation with GGA-PBE was carried out for a relaxed Pr3Tc2N7 crystal.

abc: 3.839 4.009 10.545
angles: 100.96 90.00 90.00
Sites, in units of the cell vectors:
Pr1 0.500 0.500 0.000
Pr2 0.500 0.680 0.361
Pr3 0.500 0.320 0.639
Tc1 0.000 0.902 0.804
Tc2 0.000 0.098 0.196
N1 0.000 0.405 0.811
N2 0.000 0.802 0.605
N3 0.000 0.000 0.000
N4 0.000 0.595 0.189
N5 0.500 0.101 0.201
N6 0.500 0.899 0.799
N7 0.000 0.198 0.395

ΔE_f (raw): -0.464 eV/atom
magnetization: 0.0 μB/cell
crystal system: orthorhombic
volume: 13.3 A^3/atom
total energy: -8.243 eV per atom
SG: No. 65

***

A plane-wave DFT calculation with GGA-PBE was carried out for a relaxed Pr4TcN5 crystal.

abc: 5.258 6.148 6.148
angles: 79.47 64.69 64.69
Last column: magnetic moment on the atom in μB.
Sites, in units of the cell vectors:
Pr1 0.390 0.410 0.804  0.00
Pr2 0.800 0.804 0.590  0.00
Pr3 0.194 0.196 0.410  0.00
Pr4 0.604 0.590 0.196  0.00
Tc1 0.061 0.000 0.000  0.62
N1 0.917 0.372 0.815  0.01
N2 0.289 0.815 0.628  0.01
N3 0.732 0.185 0.372  0.01
N4 0.105 0.628 0.185  0.01
N5 0.418 0.000 0.000  0.11

ΔE_f (raw): -0.866 eV/atom
magnetization: 0.9 μB/cell
crystal system: tetragonal
## Work order
Now return the whole of the material further up without altering anything.
## Response
Below is crystalline Nd3Dy3Tm5 at its relaxed geometry, with properties calculated at the PBE level.

The structure in CIF format:
```
data_Nd3Dy3Tm5
_cell_length_a 9.6068
_cell_length_b 9.6068
_cell_length_c 5.4511
_cell_angle_alpha 90.00
_cell_angle_beta 90.00
_cell_angle_gamma 120.00
_symmetry_space_group_name_H-M 'P -6 2 m'
_symmetry_Int_Tables_number 189
_symmetry_space_group_name_Hall 'P -6 -2'
loop_
_atom_site_label
_atom_site_fract_x
_atom_site_fract_y
_atom_site_fract_z
_atom_site_occupancy
Nd1 0.0000 0.6325 0.0000 1
Dy1 0.0000 0.4503 0.5000 1
Tm1 0.0000 0.2663 0.0000 1
Tm2 0.3333 0.6667 0.0000 1
```

Properties
density of states at the Fermi level = 1.50 states/eV per atom
size of the total moment = 0.00 μB per formula unit
formation energy from the elements = 817.3 meV/atom

=====

A plane-wave DFT calculation with GGA-PBE was carried out for a relaxed PrTc2N5 crystal.

abc: 3.886 3.886 8.091
angles: 103.90 103.90 90.00
Sites, in units of the cell vectors:
Pr1 0.500 0.500 0.000
Tc1 0.122 0.122 0.244
Tc2 0.878 0.878 0.756
N1 0.632 0.132 0.263
N2 0.132 0.632 0.263
N3 0.868 0.368 0.737
N4 0.368 0.868 0.737
N5 0.000 0.000 0.000

ΔE_f (raw): 0.079 eV/atom
magnetization: 0.0 μB/cell
crystal system: tetragonal
volume: 14.4 A^3/atom
total energy: -8.314 eV per atom
SG: No. 139

***

A plane-wave DFT calculation with GGA-PBE was carried out for a relaxed PrTcN3 crystal.

abc: 6.328 7.465 7.465
angles: 85.28 75.37 75.37
Sites, in units of the cell vectors:
Pr1 0.750 0.314 0.686
Pr2 0.250 0.093 0.907
Pr3 0.750 0.907 0.093
Pr4 0.250 0.686 0.314
Tc1 0.739 0.378 0.202
Tc2 0.239 0.202 0.378
Tc3 0.761 0.798 0.622
Tc4 0.261 0.622 0.798
N1 0.463 0.339 0.352
N2 0.662 0.999 0.770
N3 0.963 0.352 0.339
N4 0.037 0.648 0.661
N5 0.849 0.861 0.383
N6 0.162 0.770 0.999
N7 0.537 0.661 0.648
N8 0.838 0.230 0.001
N9 0.338 0.001 0.230
N10 0.349 0.383 0.861
N11 0.151 0.139 0.617
N12 0.651 0.617 0.139

ΔE_f (raw): -0.516 eV/atom
magnetization: 0.0 μB/cell
crystal system: monoclinic
volume: 16.5 A^3/atom
total energy: -8.540 eV per atom
SG: No. 15

***

A plane-wave DFT calculation with GGA-PBE was carried out for a relaxed PrTcN3 crystal.

abc: 5.028 7.661 7.661
angles: 92.74 92.32 92.32
Sites, in units of the cell vectors:
Pr1 0.849 0.612 0.829
Pr2 0.651 0.171 0.388
Pr3 0.151 0.388 0.171
Pr4 0.349 0.829 0.612
Tc1 0.250 0.951 0.049
Tc2 0.750 0.049 0.951
Tc3 0.250 0.301 0.699
Tc4 0.750 0.699 0.301
N1 0.563 0.827 0.933
N2 0.937 0.067 0.173
N3 0.437 0.173 0.067
N4 0.063 0.933 0.827
N5 0.980 0.296 0.860
N6 0.520 0.140 0.704
N7 0.020 0.704 0.140
N8 0.480 0.860 0.296
N9 0.376 0.526 0.729
N10 0.124 0.271 0.474
N11 0.624 0.474 0.271
N12 0.876 0.729 0.526

ΔE_f (raw): -0.403 eV/atom
magnetization: 0.0 μB/cell
crystal system: monoclinic
volume: 14.7 A^3/atom
total energy: -8.428 eV per atom
SG: No. 15

***

A plane-wave DFT calculation with GGA-PBE was carried out for a relaxed Pr3Tc2N7 crystal.

abc: 3.839 4.009 10.545
angles: 100.96 90.00 90.00
Sites, in units of the cell vectors:
Pr1 0.500 0.500 0.000
Pr2 0.500 0.680 0.361
Pr3 0.500 0.320 0.639
Tc1 0.000 0.902 0.804
Tc2 0.000 0.098 0.196
N1 0.000 0.405 0.811
N2 0.000 0.802 0.605
N3 0.000 0.000 0.000
N4 0.000 0.595 0.189
N5 0.500 0.101 0.201
N6 0.500 0.899 0.799
N7 0.000 0.198 0.395

ΔE_f (raw): -0.464 eV/atom
magnetization: 0.0 μB/cell
crystal system: orthorhombic
volume: 13.3 A^3/atom
total energy: -8.243 eV per atom
SG: No. 65

***

A plane-wave DFT calculation with GGA-PBE was carried out for a relaxed Pr4TcN5 crystal.

abc: 5.258 6.148 6.148
angles: 79.47 64.69 64.69
Last column: magnetic moment on the atom in μB.
Sites, in units of the cell vectors:
Pr1 0.390 0.410 0.804  0.00
Pr2 0.800 0.804 0.590  0.00
Pr3 0.194 0.196 0.410  0.00
Pr4 0.604 0.590 0.196  0.00
Tc1 0.061 0.000 0.000  0.62
N1 0.917 0.372 0.815  0.01
N2 0.289 0.815 0.628  0.01
N3 0.732 0.185 0.372  0.01
N4 0.105 0.628 0.185  0.01
N5 0.418 0.000 0.000  0.11

ΔE_f (raw): -0.866 eV/atom
magnetization: 0.9 μB/cell
crystal system: tetragonal